- - -
NaMg14BO16 | PBE | optimized geometry

Unit cell a=8.7037 b=8.2716 c=4.3107 alpha=90.00 beta=90.00 gamma=90.00
Positions (direct):
Mg  0.7541  0.0000  0.5000
O  0.7549  0.2502  0.5000
O  0.2451  0.7498  0.5000
Mg  0.2469  0.5000  0.5000
O  0.2581  0.0000  0.0000
Mg  0.2584  0.7462  0.0000
Mg  0.5000  0.7504  0.5000
Mg  0.5000  0.2496  0.5000
Mg  0.0000  0.7419  0.5000
O  0.5000  0.0000  0.5000
O  0.7419  0.0000  0.0000
O  0.0000  0.5000  0.5000
Mg  0.0000  0.2581  0.5000
Mg  0.7416  0.7462  0.0000
Mg  0.5000  0.0000  0.0000
O  0.2619  0.5000  0.0000
O  0.2451  0.2502  0.5000
Mg  0.7416  0.2538  0.0000
O  0.0000  0.6699  0.0000
Na  0.0000  0.0000  0.0000
B  0.0000  0.5000  0.0000
Mg  0.5000  0.5000  0.0000
Mg  0.7531  0.5000  0.5000
O  0.7549  0.7498  0.5000
O  0.0000  0.0000  0.5000
Mg  0.2584  0.2538  0.0000
O  0.0000  0.3301  0.0000
Mg  0.2459  0.0000  0.5000
O  0.7381  0.5000  0.0000
O  0.5000  0.7500  0.0000
O  0.5000  0.2500  0.0000
O  0.5000  0.5000  0.5000

Volume   9.70 A^3/atom
Distance to the lowest polymorph of the same formula   0 meV/atom
SG   Pmmm

***

NaMg6BO7 | PBE | optimized geometry

Unit cell a=8.0383 b=4.4067 c=4.4067 alpha=90.00 beta=90.00 gamma=90.00
Positions (direct):
Mg  0.2606  0.0000  0.5000
Mg  0.2606  0.5000  0.0000
O  0.0057  0.0000  0.5000
Mg  0.0048  0.5000  0.5000
O  0.6862  0.0000  0.0000
Mg  0.7494  0.5000  0.0000
O  0.7538  0.5000  0.5000
Mg  0.5043  0.5000  0.5000
Na  0.9992  0.0000  0.0000
O  0.0057  0.5000  0.0000
O  0.2552  0.5000  0.5000
Mg  0.7494  0.0000  0.5000
O  0.5034  0.0000  0.5000
O  0.5034  0.5000  0.0000
B  0.5084  0.0000  0.0000

Volume   10.41 A^3/atom
Distance to the lowest polymorph of the same formula   0 meV/atom
SG   P4mm

***

NaMg14BO16 | PBE | optimized geometry

Unit cell a=8.4315 b=8.4315 c=4.2988 alpha=90.00 beta=90.00 gamma=90.00
Positions (direct):
O  0.2513  0.2513  0.5000
Mg  0.0000  0.2463  0.5000
O  0.5000  0.2937  0.0000
Mg  0.2497  0.2497  0.0000
O  0.7063  0.5000  0.0000
O  0.0000  0.7309  0.0000
O  0.0000  0.2691  0.0000
Mg  0.0000  0.5000  0.0000
Mg  0.5000  0.0000  0.0000
Mg  0.2582  0.5000  0.5000
Mg  0.2497  0.7503  0.0000
O  0.2937  0.5000  0.0000
O  0.5000  0.0000  0.5000
Mg  0.0000  0.7537  0.5000
Mg  0.7418  0.5000  0.5000
O  0.7309  0.0000  0.0000
Na  0.0000  0.0000  0.0000
O  0.5000  0.5000  0.5000
Mg  0.7537  0.0000  0.5000
Mg  0.5000  0.2582  0.5000
O  0.2691  0.0000  0.0000
O  0.0000  0.0000  0.5000
O  0.7487  0.7487  0.5000
O  0.7487  0.2513  0.5000
B  0.5000  0.5000  0.0000
Mg  0.5000  0.7418  0.5000
Mg  0.7503  0.2497  0.0000
Mg  0.7503  0.7503  0.0000
Mg  0.2463  0.0000  0.5000
O  0.5000  0.7063  0.0000
O  0.2513  0.7487  0.5000
O  0.0000  0.5000  0.5000

Volume   9.55 A^3/atom
Distance to the lowest polymorph of the same formula   49 meV/atom
SG   P4/mmm

***

NaMg6BO7 | PBE | optimized geometry

Unit cell a=7.9860 b=4.4638 c=4.4638 alpha=90.00 beta=90.00 gamma=90.00
Positions (direct):
Mg  0.7445  0.5000  0.0000
Mg  0.2544  0.0000  0.5000
O  0.9990  0.5000  0.0000
O  0.7493  0.5000  0.5000
O  0.6762  0.0000  0.0000
O  0.9990  0.0000  0.5000
Mg  0.7445  0.0000  0.5000
O  0.4995  0.5000  0.0000
Mg  0.0027  0.5000  0.5000
Na  0.0024  0.0000  0.0000
O  0.3267  0.0000  0.0000
Mg  0.4968  0.5000  0.5000
Mg  0.2544  0.5000  0.0000
O  0.4995  0.0000  0.5000
B  0.5010  0.0000  0.0000

Volume   10.61 A^3/atom
Distance to the lowest polymorph of the same formula   13 meV/atom
SG   P4mm

***

NaMg6BO7 | PBE | optimized geometry

Unit cell a=8.5733 b=4.2619 c=4.2619 alpha=90.00 beta=90.00 gamma=90.00
Positions (direct):
B  0.9717  0.5000  0.5000
O  0.9970  0.0000  0.5000
Mg  0.7625  0.0000  0.5000
Mg  0.4884  0.5000  0.5000
Mg  0.5004  0.0000  0.0000
Mg  0.2273  0.5000  0.0000
O  0.5067  0.0000  0.5000
O  0.5067  0.5000  0.0000
O  0.2632  0.0000  0.0000
O  0.9970  0.5000  0.0000
Na  0.9979  0.0000  0.0000
O  0.7359  0.0000  0.0000
O  0.8056  0.5000  0.5000
Mg  0.2273  0.0000  0.5000
Mg  0.7625  0.5000  0.0000

Volume   10.38 A^3/atom
- - -

It remains to repeat all of the entries above with every line break kept.

NaMg14BO16 | PBE | optimized geometry

Unit cell a=8.7037 b=8.2716 c=4.3107 alpha=90.00 beta=90.00 gamma=90.00
Positions (direct):
Mg  0.7541  0.0000  0.5000
O  0.7549  0.2502  0.5000
O  0.2451  0.7498  0.5000
Mg  0.2469  0.5000  0.5000
O  0.2581  0.0000  0.0000
Mg  0.2584  0.7462  0.0000
Mg  0.5000  0.7504  0.5000
Mg  0.5000  0.2496  0.5000
Mg  0.0000  0.7419  0.5000
O  0.5000  0.0000  0.5000
O  0.7419  0.0000  0.0000
O  0.0000  0.5000  0.5000
Mg  0.0000  0.2581  0.5000
Mg  0.7416  0.7462  0.0000
Mg  0.5000  0.0000  0.0000
O  0.2619  0.5000  0.0000
O  0.2451  0.2502  0.5000
Mg  0.7416  0.2538  0.0000
O  0.0000  0.6699  0.0000
Na  0.0000  0.0000  0.0000
B  0.0000  0.5000  0.0000
Mg  0.5000  0.5000  0.0000
Mg  0.7531  0.5000  0.5000
O  0.7549  0.7498  0.5000
O  0.0000  0.0000  0.5000
Mg  0.2584  0.2538  0.0000
O  0.0000  0.3301  0.0000
Mg  0.2459  0.0000  0.5000
O  0.7381  0.5000  0.0000
O  0.5000  0.7500  0.0000
O  0.5000  0.2500  0.0000
O  0.5000  0.5000  0.5000

Volume   9.70 A^3/atom
Distance to the lowest polymorph of the same formula   0 meV/atom
SG   Pmmm

***

NaMg6BO7 | PBE | optimized geometry

Unit cell a=8.0383 b=4.4067 c=4.4067 alpha=90.00 beta=90.00 gamma=90.00
Positions (direct):
Mg  0.2606  0.0000  0.5000
Mg  0.2606  0.5000  0.0000
O  0.0057  0.0000  0.5000
Mg  0.0048  0.5000  0.5000
O  0.6862  0.0000  0.0000
Mg  0.7494  0.5000  0.0000
O  0.7538  0.5000  0.5000
Mg  0.5043  0.5000  0.5000
Na  0.9992  0.0000  0.0000
O  0.0057  0.5000  0.0000
O  0.2552  0.5000  0.5000
Mg  0.7494  0.0000  0.5000
O  0.5034  0.0000  0.5000
O  0.5034  0.5000  0.0000
B  0.5084  0.0000  0.0000

Volume   10.41 A^3/atom
Distance to the lowest polymorph of the same formula   0 meV/atom
SG   P4mm

***

NaMg14BO16 | PBE | optimized geometry

Unit cell a=8.4315 b=8.4315 c=4.2988 alpha=90.00 beta=90.00 gamma=90.00
Positions (direct):
O  0.2513  0.2513  0.5000
Mg  0.0000  0.2463  0.5000
O  0.5000  0.2937  0.0000
Mg  0.2497  0.2497  0.0000
O  0.7063  0.5000  0.0000
O  0.0000  0.7309  0.0000
O  0.0000  0.2691  0.0000
Mg  0.0000  0.5000  0.0000
Mg  0.5000  0.0000  0.0000
Mg  0.2582  0.5000  0.5000
Mg  0.2497  0.7503  0.0000
O  0.2937  0.5000  0.0000
O  0.5000  0.0000  0.5000
Mg  0.0000  0.7537  0.5000
Mg  0.7418  0.5000  0.5000
O  0.7309  0.0000  0.0000
Na  0.0000  0.0000  0.0000
O  0.5000  0.5000  0.5000
Mg  0.7537  0.0000  0.5000
Mg  0.5000  0.2582  0.5000
O  0.2691  0.0000  0.0000
O  0.0000  0.0000  0.5000
O  0.7487  0.7487  0.5000
O  0.7487  0.2513  0.5000
B  0.5000  0.5000  0.0000
Mg  0.5000  0.7418  0.5000
Mg  0.7503  0.2497  0.0000
Mg  0.7503  0.7503  0.0000
Mg  0.2463  0.0000  0.5000
O  0.5000  0.7063  0.0000
O  0.2513  0.7487  0.5000
O  0.0000  0.5000  0.5000

Volume   9.55 A^3/atom
Distance to the lowest polymorph of the same formula   49 meV/atom
SG   P4/mmm

***

NaMg6BO7 | PBE | optimized geometry

Unit cell a=7.9860 b=4.4638 c=4.4638 alpha=90.00 beta=90.00 gamma=90.00
Positions (direct):
Mg  0.7445  0.5000  0.0000
Mg  0.2544  0.0000  0.5000
O  0.9990  0.5000  0.0000
O  0.7493  0.5000  0.5000
O  0.6762  0.0000  0.0000
O  0.9990  0.0000  0.5000
Mg  0.7445  0.0000  0.5000
O  0.4995  0.5000  0.0000
Mg  0.0027  0.5000  0.5000
Na  0.0024  0.0000  0.0000
O  0.3267  0.0000  0.0000
Mg  0.4968  0.5000  0.5000
Mg  0.2544  0.5000  0.0000
O  0.4995  0.0000  0.5000
B  0.5010  0.0000  0.0000

Volume   10.61 A^3/atom
Distance to the lowest polymorph of the same formula   13 meV/atom
SG   P4mm

***

NaMg6BO7 | PBE | optimized geometry

Unit cell a=8.5733 b=4.2619 c=4.2619 alpha=90.00 beta=90.00 gamma=90.00
Positions (direct):
B  0.9717  0.5000  0.5000
O  0.9970  0.0000  0.5000
Mg  0.7625  0.0000  0.5000
Mg  0.4884  0.5000  0.5000
Mg  0.5004  0.0000  0.0000
Mg  0.2273  0.5000  0.0000
O  0.5067  0.0000  0.5000
O  0.5067  0.5000  0.0000
O  0.2632  0.0000  0.0000
O  0.9970  0.5000  0.0000
Na  0.9979  0.0000  0.0000
O  0.7359  0.0000  0.0000
O  0.8056  0.5000  0.5000
Mg  0.2273  0.0000  0.5000
Mg  0.7625  0.5000  0.0000

Volume   10.38 A^3/atom